Meta saltmine
But then NRS won't be able to pretend that the game is balanced on the basis that someone manages to carry an average character into top-something haven every now and then because even top tier character players can guess that 50/50 wrong.More thinking, less coin-flip dice-toss button pressing in these NRS games please.
Meanwhile whoever plays something with overheads whiffing on crouching opponents stays where he is.
That has been proven to be the cycle of improvement though. If community doesn't "whine" it means you're probably looking at one with "deal with it" attitude playing a game that is broken beyond any repair, rather than a community built around a game that is well-balanced.It's "The Cycle" Bro lol.
They don't have to be like that though. Skullgirls has shown us that with the right basic mech in the game grappler can be a-okay-ish without being OP despite having all the tools in the world (including like 4 different grabs, invulnerable moves, armored command dash into what is pretty much optional 33/33/33, air mobility and counterzoning tools such as long-reaching normal and projectile parry).grapplers are always like that lol
**Between two parts of the article: calculated crystals**
........
No. 1
Computed, not measured: crystalline U3Nb at its relaxed geometry at the PBE level of DFT.

Lattice parameters (Å, degrees): 5.931 5.931 5.475 90.00 90.00 120.00
Positions (direct):
U1 0.823 0.177 0.750
U2 0.354 0.177 0.750
U3 0.823 0.646 0.750
U4 0.177 0.823 0.250
U5 0.646 0.823 0.250
U6 0.177 0.354 0.250
Nb1 0.667 0.333 0.250
Nb2 0.333 0.667 0.750

Properties
Energy relative to the elements   132 kJ/mol of formula units
Space-group type   No. 194

---

No. 2
Computed, not measured: crystalline NbW at its relaxed geometry at the PBE level of DFT.

Lattice parameters (Å, degrees): 2.811 2.811 4.593 90.00 90.00 109.44
Positions (direct):
Nb1 0.000 0.000 0.000
W1 0.500 0.500 0.500

Properties
Energy relative to the elements   -8 kJ/mol of formula units
Space-group type   No. 65


(1)
Entry from the Materials Project: a geometry-optimized CrAgP2S6 structure (meta-GGA r2SCAN).

Structure (POSCAR):
```
CrAgP2S6
1.0
-7.738 6.450 -3.377
-2.131 0.344 5.541
3.304 5.498 2.929
S P Cr Ag
12 4 2 2
Direct
0.394 0.521 0.273
0.924 0.487 0.786
0.232 0.485 0.772
0.076 0.987 0.786
0.394 0.979 0.727
0.924 0.013 0.214
0.768 0.985 0.772
0.606 0.479 0.727
0.232 0.015 0.228
0.076 0.513 0.214
0.606 0.021 0.273
0.768 0.515 0.228
0.755 0.205 0.162
0.245 0.795 0.838
0.755 0.295 0.838
0.245 0.705 0.162
0.917 0.750 0.000
0.083 0.250 0.000
0.561 0.750 0.000
0.439 0.250 0.000
```

Size of the total moment ... 0.30 μB per atom
Formation enthalpy at 0 K ... -0.487 eV/atom
DFT total energy ... -215.0 eV/cell

---

(2)
Entry from the Materials Project: a geometry-optimized Cr2AgS4 structure (meta-GGA r2SCAN).

Structure (POSCAR):
```
Cr2AgS4
1.0
5.066 0.539 5.044
-1.107 -2.797 6.508
3.635 -5.823 2.064
S Cr Ag
8 4 2
Direct
0.889 0.889 0.888
0.889 0.889 0.333
0.333 0.888 0.889
0.361 0.361 0.362
0.361 0.361 0.917
0.888 0.333 0.889
0.362 0.917 0.361
0.917 0.362 0.361
0.125 0.625 0.125
0.125 0.125 0.125
0.125 0.125 0.625
0.625 0.125 0.125
0.750 0.750 0.750
0.500 0.500 0.500
```

Size of the total moment ... 0.74 μB per atom
Formation enthalpy at 0 K ... -0.774 eV/atom
DFT total energy ... -178.1 eV/cell

---

(3)
Entry from the Materials Project: a geometry-optimized CsEr2Ag3Te5 structure (meta-GGA r2SCAN).

Structure (POSCAR):
```
CsEr2Ag3Te5
1.0
2.264 -8.205 0.000
2.264 8.205 0.000
0.000 0.000 18.573
Er Te Ag Cs
4 10 6 2
Direct
0.306 0.694 0.095
0.306 0.694 0.405
0.694 0.306 0.595
0.694 0.306 0.905
0.755 0.245 0.750
0.068 0.932 0.882
0.322 0.678 0.569
0.245 0.755 0.250
0.068 0.932 0.618
0.678 0.322 0.431
0.932 0.068 0.382
0.678 0.322 0.069
0.932 0.068 0.118
0.322 0.678 0.931
0.158 0.842 0.750
0.921 0.079 0.537
0.079 0.921 0.037
0.079 0.921 0.463
0.842 0.158 0.250
0.921 0.079 0.963
0.557 0.443 0.250
0.443 0.557 0.750
```

Size of the total moment ... 0.00 μB per atom
Formation enthalpy at 0 K ... -1.028 eV/atom
DFT total energy ... -590.8 eV/cell

---

(4)
Entry from the Materials Project: a geometry-optimized CsAgF3 structure (meta-GGA r2SCAN).

Structure (POSCAR):
```
CsAgF3
........
Game designers should just stop being scared to death by throws and similar "unfair" moves and leaving such characters without decent normals, or specific tools that may be vital, or both. "B-b-but unblockables!.." mentality is what's behind Grundy and Ares being hindered on high level IMO.
Pretty sure that's not a "bug" per se, but consequence of the way the game reads buffered inputs to allow shortcuts (like d1b2 for d1~db2). Or maybe I didn't get what you're saying. In any case I hope MKX will have more options to satisfy more people playing different characters and preferring different controls. Someone who doesn't need d1~bf-something cancel will still be able to use shortcuts without getting on other players' nerves.If a special move is perform by doing doan back or down forward if you do down down back/forward the move still comes put that's why you see all of players get a special move when they are trying to do d1. I honestly don't understand how something like that can be in a fighting game
• The text is interrupted by data records:
'''
# PBE CaZnGe4O12, relaxed
# V: 11.38 A^3/atom
# energy of formation from the pure elements: -1.710 eV/atom
# mass density: 4768 kg/m³
data_CaZnGe4O12
_chemical_formula_sum 'Ca2 Zn2 Ge8 O24'
_cell_length_a 7.534
_cell_length_b 7.540
_cell_length_c 7.210
_cell_angle_alpha 90.00
_cell_angle_beta 90.00
_cell_angle_gamma 90.00
_symmetry_space_group_name_H-M 'A m m 2'
_symmetry_Int_Tables_number 38
_symmetry_space_group_name_Hall 'A 2 -2'
loop_
_atom_site_label
_atom_site_fract_x
_atom_site_fract_y
_atom_site_fract_z
Ca1 0.000 0.000 0.000
Zn1 0.500 0.000 0.446
Ge1 0.261 0.236 0.720
O1 0.000 0.201 0.723
O2 0.211 0.000 0.250
O3 0.239 0.198 0.972
O4 0.311 0.000 0.650
O5 0.500 0.197 0.257

# PBE Ca3Ge2P4, relaxed
# V: 22.97 A^3/atom
# energy of formation from the pure elements: -0.792 eV/atom
# mass density: 3127 kg/m³
data_Ca3Ge2P4
_chemical_formula_sum 'Ca12 Ge8 P16'
_cell_length_a 7.149
_cell_length_b 17.572
_cell_length_c 7.089
_cell_angle_alpha 90.00
_cell_angle_beta 111.74
_cell_angle_gamma 90.00
_symmetry_space_group_name_H-M 'P 1 21/c 1'
_symmetry_Int_Tables_number 14
_symmetry_space_group_name_Hall '-P 2ybc'
loop_
_atom_site_label
_atom_site_fract_x
_atom_site_fract_y
_atom_site_fract_z
Ca1 0.215 0.183 0.012
Ca2 0.257 0.060 0.512
Ca3 0.262 0.560 0.504
Ge1 0.209 0.626 0.030
Ge2 0.320 0.742 0.915
P1 0.004 0.559 0.748
P2 0.034 0.685 0.223
P3 0.487 0.197 0.773
P4 0.498 0.066 0.254

# PBE CaGe2Pd2, relaxed
# V: 19.36 A^3/atom
# energy of formation from the pure elements: -0.715 eV/atom
# mass density: 6830 kg/m³
data_CaGe2Pd2
_chemical_formula_sum 'Ca2 Ge4 Pd4'
_cell_length_a 4.367
_cell_length_b 4.367
_cell_length_c 10.154
_cell_angle_alpha 90.00
_cell_angle_beta 90.00
_cell_angle_gamma 90.00
_symmetry_space_group_name_H-M 'I 4/m m m'
_symmetry_Int_Tables_number 139
_symmetry_space_group_name_Hall '-I 4 2'
loop_
_atom_site_label
_atom_site_fract_x
_atom_site_fract_y
_atom_site_fract_z
Ca1 0.000 0.000 0.000
Ge1 0.000 0.000 0.375
Pd1 0.000 0.500 0.250

# PBE CaGePt, relaxed
# V: 20.12 A^3/atom
# energy of formation from the pure elements: -0.907 eV/atom
# mass density: 8467 kg/m³
data_CaGePt
_chemical_formula_sum 'Ca4 Ge4 Pt4'
_cell_length_a 7.234
_cell_length_b 4.446
_cell_length_c 7.509
_cell_angle_alpha 90.00
_cell_angle_beta 90.00
_cell_angle_gamma 90.00
_symmetry_space_group_name_H-M 'P n m a'
_symmetry_Int_Tables_number 62
_symmetry_space_group_name_Hall '-P 2ac 2n'
loop_
_atom_site_label
_atom_site_fract_x
_atom_site_fract_y
_atom_site_fract_z
Ca1 0.007 0.250 0.196
Ge1 0.180 0.250 0.583
Pt1 0.198 0.750 0.408

# PBE Ca2GePt2, relaxed
# V: 21.59 A^3/atom
# energy of formation from the pure elements: -0.949 eV/atom
# mass density: 8353 kg/m³
data_Ca2GePt2
_chemical_formula_sum 'Ca8 Ge4 Pt8'
_cell_length_a 9.726
_cell_length_b 5.674
_cell_length_c 8.003
_cell_angle_alpha 90.00
_cell_angle_beta 102.16
_cell_angle_gamma 90.00
_symmetry_space_group_name_H-M 'C 1 2/c 1'
_symmetry_Int_Tables_number 15
_symmetry_space_group_name_Hall '-C 2yc'
loop_
'''
That just shows how much damage was done by months of f23.Capcomers still think Supes and Adam are top.
Tbh I'd rather have a game with basic shit being easy to do as long as there's no bulls in that shit.That's why I don't like injustice. It's far too easy to do BS in this game.
I don't get some people's fascination with stuff that would pass for bad interface in a game of any other genre. Personal opinion ofc.
That said, 50/50 are powerful in this game not because they are easy to do, but because they often require no conditioning/setups and/or commitment. Maybe that's what you mean, I dunno, you made it sound like you're talking about execution more than anything. Sorry if I misunderstood something.
**Records of crystals from another source follow**
-- begin --
# Ho7PtI12 PBE optimized geometry
# **Crystal system**: trigonal
# **Calculated formation energy**: -30.1 eV per formula unit
# **Total energy after the MP2020 corrections**: -86.5 eV/cell
# **Final energy**: -81.95 eV/cell
data_Ho7PtI12
_chemical_formula_sum 'Ho7 Pt1 I12'
_symmetry_space_group_name_H-M 'P 1'
_symmetry_Int_Tables_number 1
_cell_length_a 9.7447
_cell_length_b 9.7447
_cell_length_c 9.7447
_cell_angle_alpha 107.24
_cell_angle_beta 107.24
_cell_angle_gamma 107.24
loop_
_symmetry_equiv_pos_as_xyz
'x,y,z'
loop_
_atom_site_label
_atom_site_fract_x
_atom_site_fract_y
_atom_site_fract_z
_atom_site_occupancy
Ho1 0.1973 0.4006 0.4710 1
I1 0.8228 0.2741 0.4252 1
I2 0.7259 0.5748 0.1772 1
I3 0.5748 0.1772 0.7259 1
Ho2 0.4710 0.1973 0.4006 1
I4 0.9661 0.6572 0.8880 1
I5 0.1772 0.7259 0.5748 1
I6 0.4252 0.8228 0.2741 1
Ho3 0.0000 0.0000 0.0000 1
I7 0.6572 0.8880 0.9661 1
I8 0.1120 0.0339 0.3428 1
I9 0.0339 0.3428 0.1120 1
Pt1 0.5000 0.5000 0.5000 1
Ho4 0.5290 0.8027 0.5994 1
Ho5 0.8027 0.5994 0.5290 1
Ho6 0.4006 0.4710 0.1973 1
I10 0.8880 0.9661 0.6572 1
I11 0.2741 0.4252 0.8228 1
I12 0.3428 0.1120 0.0339 1
Ho7 0.5994 0.5290 0.8027 1
-- stop --
And speaking of Aqua's trait since someone mentioned it. It looks like at one point there was a solid design behind it. Like, in a game with safe mixups you have to trait up to get the same, but you get reach as a compensation. It didn't quite work well it seems due to, again, basic design decisions used in IGAU. Or because NRS forgot what was the idea initially